Excerpt =
┌──
# Ba2Al6AgPd PBE optimized geometry
# Formation energy ... -0.352 eV per atom
# Density of states at the Fermi level ... 4.26 states/eV/cell
data_Ba2Al6AgPd
_space_group_name_H-M_alt 'C 1 2/m 1'
_space_group_IT_number 12
_space_group_name_Hall '-C 2y'
_cell_length_a 11.627
_cell_length_b 6.700
_cell_length_c 7.299
_cell_angle_alpha 90.00
_cell_angle_beta 122.28
_cell_angle_gamma 90.00
loop_
_atom_site_label
_atom_site_type_symbol
_atom_site_fract_x
_atom_site_fract_y
_atom_site_fract_z
Ba1 Ba 0.202 0.000 0.105
Al1 Al 0.055 0.303 0.365
Al2 Al 0.247 0.000 0.635
Ag1 Ag 0.000 0.500 0.000
Pd1 Pd 0.000 0.000 0.500
└──
Activity =
Please restate the part of the calculation results above that starts with the line with "optimized geometry" and stops after the one with "loop_".
Written answer =
# Ba2Al6AgPd PBE optimized geometry
# Formation energy ... -0.352 eV per atom
# Density of states at the Fermi level ... 4.26 states/eV/cell
data_Ba2Al6AgPd
_space_group_name_H-M_alt 'C 1 2/m 1'
_space_group_IT_number 12
_space_group_name_Hall '-C 2y'
_cell_length_a 11.627
_cell_length_b 6.700
_cell_length_c 7.299
_cell_angle_alpha 90.00
_cell_angle_beta 122.28
_cell_angle_gamma 90.00
loop_